• Assignment:
Your job: duplicate all of the lines further below word for word.
• Source:
<<<
First-principles (PBE+U) data for La2CrHgF after structural relaxation, as listed in the Alexandria database.

Energy (eV/atom): -3.8355
Volume (Å³/cell): 174.6
Total moment (μB per atom): 1.220
Space-group type: P4/mmm

Unit cell a=6.0211 b=6.0211 c=4.8148 alpha=90.00 beta=90.00 gamma=90.00
Closest atoms and distances in Å follow each position.
Sites, in units of the cell vectors:
1 La 0.0000 0.5000 0.0000  2 Hg 3.01
2 La 0.5000 0.0000 0.0000  2 Hg 3.01
3 Cr 0.0000 0.0000 0.5000  8 La 3.85, 4 F 4.26
4 Hg 0.5000 0.5000 0.0000  2 F 2.41
5 F 0.5000 0.5000 0.5000  2 Hg 2.41

=====

Computed, not measured: a relaxed Hf2FeHRh crystal at the GGA-PBE level of DFT.

The density of states at the Fermi level is 2.650 states/eV/f.u. The value obtained for the relative energy among the computed polymorphs is 0 meV per atom. Its size of the total moment is 0.66 μB/f.u.

The space group is P4/mmm (No. 123) and the conventional cell measures 4.472, 4.472 and 3.414 Å, with angles of 90.00, 90.00 and 90.00 degrees. Symmetry generates all atoms from Hf at (0.000, 0.500, 0.000), Fe at (0.000, 0.000, 0.500), H at (0.000, 0.000, 0.000) and Rh at (0.500, 0.500, 0.500).

=====

# 1
The following is a DFT calculation (PBE) of Fe2PtAu after structural relaxation.

## Properties
Final energy, eV per atom: -6.49
Symmetry: No. 12
Total moment, μB/cell: 6.087
Energy above the lowest structure with this stoichiometry, kJ per mole of atoms: 11.2
Formation energy from the elements, eV per formula unit: 0.3

abc: 4.6831 4.6831 4.8231
angles: 80.34 80.34 34.53
Closest atoms and distances in Å follow each position.
Element x y z (fractional)
Au (0.2500, 0.2500, 0.2500)  6 Fe 2.75-2.77, 2 Au 2.78, 4 Pt 2.78
Fe (0.0024, 0.0024, 0.9845)  6 Fe 2.66-2.91, 3 Pt 2.69-2.70, 3 Au 2.75-2.77
Fe (0.4976, 0.4976, 0.5155)  6 Fe 2.66-2.91, 3 Pt 2.69-2.70, 3 Au 2.75-2.77
Pt (0.7500, 0.7500, 0.7500)  6 Fe 2.69-2.70, 2 Pt 2.78, 4 Au 2.78

---

# 2
The following is a DFT calculation (PBE) of FePtAu2 after structural relaxation.

## Properties
Final energy, eV per atom: -4.92
Symmetry: No. 122
Total moment, μB/cell: 7.420
Formation energy from the elements, eV per formula unit: 1.4

abc: 7.2890 7.2890 5.8026
angles: 51.09 51.09 90.00
Closest atoms and distances in Å follow each position.
Element x y z (fractional)
Au (0.6101, 0.1250, 0.2500)  2 Fe 2.59, 2 Au 2.67, 2 Pt 2.74
Au (0.1399, 0.6250, 0.2500)  2 Fe 2.59, 2 Au 2.67, 2 Pt 2.74
Au (0.3750, 0.3899, 0.7500)  2 Fe 2.59, 2 Au 2.67, 2 Pt 2.74
Au (0.8750, 0.8601, 0.7500)  2 Fe 2.59, 2 Au 2.67, 2 Pt 2.74
Fe (0.5000, 0.5000, 0.0000)  4 Au 2.59, 2 Pt 2.67
Fe (0.2500, 0.7500, 0.5000)  4 Au 2.59, 2 Pt 2.67
Pt (0.0000, 0.0000, 0.0000)  2 Fe 2.67, 4 Au 2.74
Pt (0.7500, 0.2500, 0.5000)  2 Fe 2.67, 4 Au 2.74

---

# 3
The following is a DFT calculation (PBE) of Fe2PtAu after structural relaxation.

## Properties
Final energy, eV per atom: -6.59
Symmetry: No. 25
Total moment, μB/cell: 6.293
Energy above the lowest structure with this stoichiometry, kJ per mole of atoms: 1.9
Formation energy from the elements, eV per formula unit: -0.1

abc: 4.4356 2.7697 4.7460
angles: 89.99 90.00 90.00
Closest atoms and distances in Å follow each position.
Element x y z (fractional)
Au (0.5000, 0.6250, 0.8043)  8 Fe 2.72-2.78, 2 Au 2.77, 2 Pt 2.81
Fe (0.0000, 0.1250, 0.9593)  4 Pt 2.67-2.83, 4 Au 2.72, 4 Fe 2.73-2.77
Fe (0.5000, 0.1250, 0.2965)  4 Pt 2.70, 4 Au 2.72-2.78, 4 Fe 2.73-2.77
Pt (0.0000, 0.6249, 0.4399)  8 Fe 2.67-2.83, 2 Pt 2.77, 2 Au 2.81

---

# 4
The following is a DFT calculation (PBE) of Fe2Pt8Au after structural relaxation.

## Properties
Final energy, eV per atom: -6.35
Symmetry: No. 12
Total moment, μB/cell: 8.552
Formation energy from the elements, eV per formula unit: -1.4

abc: 3.9202 6.3045 7.3813
angles: 105.12 105.40 90.00
Closest atoms and distances in Å follow each position.
Element x y z (fractional)
Au (0.5000, 0.0000, 0.0000)  12 Pt 2.81-2.90
Fe (0.2270, 0.6475, 0.4540)  10 Pt 2.66-2.75, 2 Fe 2.90
>>>
• Result:
First-principles (PBE+U) data for La2CrHgF after structural relaxation, as listed in the Alexandria database.

Energy (eV/atom): -3.8355
Volume (Å³/cell): 174.6
Total moment (μB per atom): 1.220
Space-group type: P4/mmm

Unit cell a=6.0211 b=6.0211 c=4.8148 alpha=90.00 beta=90.00 gamma=90.00
Closest atoms and distances in Å follow each position.
Sites, in units of the cell vectors:
1 La 0.0000 0.5000 0.0000  2 Hg 3.01
2 La 0.5000 0.0000 0.0000  2 Hg 3.01
3 Cr 0.0000 0.0000 0.5000  8 La 3.85, 4 F 4.26
4 Hg 0.5000 0.5000 0.0000  2 F 2.41
5 F 0.5000 0.5000 0.5000  2 Hg 2.41

=====

Computed, not measured: a relaxed Hf2FeHRh crystal at the GGA-PBE level of DFT.

The density of states at the Fermi level is 2.650 states/eV/f.u. The value obtained for the relative energy among the computed polymorphs is 0 meV per atom. Its size of the total moment is 0.66 μB/f.u.

The space group is P4/mmm (No. 123) and the conventional cell measures 4.472, 4.472 and 3.414 Å, with angles of 90.00, 90.00 and 90.00 degrees. Symmetry generates all atoms from Hf at (0.000, 0.500, 0.000), Fe at (0.000, 0.000, 0.500), H at (0.000, 0.000, 0.000) and Rh at (0.500, 0.500, 0.500).

=====

# 1
The following is a DFT calculation (PBE) of Fe2PtAu after structural relaxation.

## Properties
Final energy, eV per atom: -6.49
Symmetry: No. 12
Total moment, μB/cell: 6.087
Energy above the lowest structure with this stoichiometry, kJ per mole of atoms: 11.2
Formation energy from the elements, eV per formula unit: 0.3

abc: 4.6831 4.6831 4.8231
angles: 80.34 80.34 34.53
Closest atoms and distances in Å follow each position.
Element x y z (fractional)
Au (0.2500, 0.2500, 0.2500)  6 Fe 2.75-2.77, 2 Au 2.78, 4 Pt 2.78
Fe (0.0024, 0.0024, 0.9845)  6 Fe 2.66-2.91, 3 Pt 2.69-2.70, 3 Au 2.75-2.77
Fe (0.4976, 0.4976, 0.5155)  6 Fe 2.66-2.91, 3 Pt 2.69-2.70, 3 Au 2.75-2.77
Pt (0.7500, 0.7500, 0.7500)  6 Fe 2.69-2.70, 2 Pt 2.78, 4 Au 2.78

---

# 2
The following is a DFT calculation (PBE) of FePtAu2 after structural relaxation.

## Properties
Final energy, eV per atom: -4.92
Symmetry: No. 122
Total moment, μB/cell: 7.420
Formation energy from the elements, eV per formula unit: 1.4

abc: 7.2890 7.2890 5.8026
angles: 51.09 51.09 90.00
Closest atoms and distances in Å follow each position.
Element x y z (fractional)
Au (0.6101, 0.1250, 0.2500)  2 Fe 2.59, 2 Au 2.67, 2 Pt 2.74
Au (0.1399, 0.6250, 0.2500)  2 Fe 2.59, 2 Au 2.67, 2 Pt 2.74
Au (0.3750, 0.3899, 0.7500)  2 Fe 2.59, 2 Au 2.67, 2 Pt 2.74
Au (0.8750, 0.8601, 0.7500)  2 Fe 2.59, 2 Au 2.67, 2 Pt 2.74
Fe (0.5000, 0.5000, 0.0000)  4 Au 2.59, 2 Pt 2.67
Fe (0.2500, 0.7500, 0.5000)  4 Au 2.59, 2 Pt 2.67
Pt (0.0000, 0.0000, 0.0000)  2 Fe 2.67, 4 Au 2.74
Pt (0.7500, 0.2500, 0.5000)  2 Fe 2.67, 4 Au 2.74

---

# 3
The following is a DFT calculation (PBE) of Fe2PtAu after structural relaxation.

## Properties
Final energy, eV per atom: -6.59
Symmetry: No. 25
Total moment, μB/cell: 6.293
Energy above the lowest structure with this stoichiometry, kJ per mole of atoms: 1.9
Formation energy from the elements, eV per formula unit: -0.1

abc: 4.4356 2.7697 4.7460
angles: 89.99 90.00 90.00
Closest atoms and distances in Å follow each position.
Element x y z (fractional)
Au (0.5000, 0.6250, 0.8043)  8 Fe 2.72-2.78, 2 Au 2.77, 2 Pt 2.81
Fe (0.0000, 0.1250, 0.9593)  4 Pt 2.67-2.83, 4 Au 2.72, 4 Fe 2.73-2.77
Fe (0.5000, 0.1250, 0.2965)  4 Pt 2.70, 4 Au 2.72-2.78, 4 Fe 2.73-2.77
Pt (0.0000, 0.6249, 0.4399)  8 Fe 2.67-2.83, 2 Pt 2.77, 2 Au 2.81

---

# 4
The following is a DFT calculation (PBE) of Fe2Pt8Au after structural relaxation.

## Properties
Final energy, eV per atom: -6.35
Symmetry: No. 12
Total moment, μB/cell: 8.552
Formation energy from the elements, eV per formula unit: -1.4

abc: 3.9202 6.3045 7.3813
angles: 105.12 105.40 90.00
Closest atoms and distances in Å follow each position.
Element x y z (fractional)
Au (0.5000, 0.0000, 0.0000)  12 Pt 2.81-2.90
Fe (0.2270, 0.6475, 0.4540)  10 Pt 2.66-2.75, 2 Fe 2.90